how the holga sees
Data records that have nothing to do with the article:
=====
Below is K6Pd2O5 after structural relaxation, with properties calculated at the PBE-GGA level.

Summary:
uncorrected energy = -53.6 eV per formula unit

a = 6.876 Å, b = 11.459 Å, c = 6.651 Å
α = 90.00°, β = 90.90°, γ = 90.00°
Space group Cm (No. 8)
Symmetry-distinct sites (fractional):
K: 0.000 0.000 0.000 x2
K: 0.144 0.292 0.231 x4
K: 0.188 0.262 0.725 x4
K: 0.324 0.000 0.397 x2
Pd: 0.375 0.500 0.513 x2
Pd: 0.452 0.000 0.902 x2
O: 0.137 0.500 0.679 x2
O: 0.319 0.134 0.034 x4
O: 0.450 0.334 0.470 x4

~~~~~

No. 1
The following is a DFT calculation (PBE) of a geometry-optimized Ba5CaMg6 structure.

a b c (Å): 6.138 8.443 18.370
angles (deg): 90.00 90.00 90.00
Space group Immm (No. 71)
Unique sites:
Ba1 0.000 0.000 0.000 [2 per cell]
Ba2 0.000 0.000 0.326 [4 per cell]
Ba3 0.000 0.500 0.337 [4 per cell]
Ca1 0.000 0.500 0.000 [2 per cell]
Mg1 0.000 0.219 0.500 [4 per cell]
Mg2 0.000 0.267 0.160 [8 per cell]

The value obtained for the calculated volume is 952 Å³/cell. For the energy relative to the elements, the calculation gives -0.0497 eV per atom.

No. 2
The following is a DFT calculation (PBE) of a geometry-optimized La4Cu3Ge structure.

a b c (Å): 4.208 4.419 11.017
angles (deg): 90.00 90.00 90.00
Space group Pmm2 (No. 25)
Unique sites:
La1 0.000 0.000 0.000 [1 per cell]
La2 0.000 0.500 0.283 [1 per cell]
La3 0.500 0.000 0.497 [1 per cell]
La4 0.500 0.500 0.787 [1 per cell]
Cu1 0.000 0.500 0.576 [1 per cell]
Cu2 0.500 0.000 0.205 [1 per cell]
Cu3 0.500 0.500 0.080 [1 per cell]
Ge1 0.000 0.000 0.714 [1 per cell]

The value obtained for the calculated volume is 205 Å³/cell. For the energy relative to the elements, the calculation gives -0.3281 eV per atom.

- calculated volume of number 2 (La4Cu3Ge)?
  205 Å³/cell

What did the first record say?
The following is a DFT calculation (PBE) of a geometry-optimized Ba5CaMg6 structure.

a b c (Å): 6.138 8.443 18.370
angles (deg): 90.00 90.00 90.00
Space group Immm (No. 71)
Unique sites:
Ba1 0.000 0.000 0.000 [2 per cell]
Ba2 0.000 0.000 0.326 [4 per cell]
Ba3 0.000 0.500 0.337 [4 per cell]
Ca1 0.000 0.500 0.000 [2 per cell]
Mg1 0.000 0.219 0.500 [4 per cell]
Mg2 0.000 0.267 0.160 [8 per cell]

The value obtained for the calculated volume is 952 Å³/cell. For the energy relative to the elements, the calculation gives -0.0497 eV per atom.

~~~~~

# 1
3
Lattice="3.7349 0.0000 0.0000 0.0000 4.3435 0.0000 0.0000 0.0000 5.2477" Properties=species:S:1:pos:R:3 comment="PBE-GGA NdErSe, relaxed" magmom_total_mub_per_fu=0.00 dos_ef_per_ev_fu=3.440 polymorph_energy_mev_per_atom=263.4 pbc="T T T"
Nd 0.0000 0.0000 0.0000
Er 0.0000 2.1718 2.6239
Se 1.8674 0.0000 2.6239

***

# 2
14
Lattice="-4.4316 4.4316 4.4928 4.4316 -4.4316 4.4928 4.4316 4.4316 -4.4928" Properties=species:S:1:pos:R:3 comment="PBE-GGA Nd5ErSe8, relaxed" magmom_total_mub_per_fu=0.00 dos_ef_per_ev_fu=9.498 pbc="T T T"
Nd 0.0000 0.0000 0.0000
Nd 5.4695 2.2084 -1.1089
Nd 2.2084 3.3936 1.1089
Nd -1.0379 2.2231 3.3839
Nd 2.2231 1.0379 5.6017
=====
It is June, a start of another month. Last year I went on a camera buying spree. I was able to acquire second hand cameras, a Leica M6, Hasselbad 500C, Rolleiflex, Canonet QL-17 and the brand new Holga. It was relatively easy to figure out most of these cameras with the exception of the Holga. My first roll of film came back blocked out that it was useless. I could not figure the right exposure. When I finally was getting decent exposures with the camera, the picture is coming out not as I wanted it to be. So a few weekends ago, I tried figuring out a test for a camera that has a fixed f stop and shutter speed.
To do an exposure test, I placed the Holga on a tripod (yes the one I got from Hong Kong already has a tripod screw mount, no need for modifications!) Since it is of one exposure, (f/8) then I metered the wall accordingly using the rated speed of the film, in this case Kodak 125PX. That morning I was getting a reading of f/4 at 1/125 sec, the closest to 1/100 sec supposed shutter speed of the Holga. Working on this assumption, I should click the shutter 4 times to reach the equivalent exposure of and f/8 at 1/125 sec. I then did the next two frames at the equivalent of one higher EI and one lower EI. The negatives look promising but I still did not get to do a contact print to judge which was the best EI to use. I will find out the answer this weekend.
# These materials data were left in the article by mistake
Density functional theory data (PBE) for a relaxed structure of Ho12Er5Tl2.

CIF file:
```
data_Ho12Er5Tl2
_cell_length_a 15.323
_cell_length_b 9.252
_cell_length_c 8.232
_cell_angle_alpha 90.00
_cell_angle_beta 91.43
_cell_angle_gamma 90.00
_space_group_name_H-M_alt 'C 1 2/m 1'
_space_group_IT_number 12
_space_group_name_Hall '-C 2y'
loop_
_atom_site_label
_atom_site_fract_x
_atom_site_fract_y
_atom_site_fract_z
_atom_site_occupancy
Ho1 0.052 0.000 0.321 1
Ho2 0.089 0.500 0.888 1
Ho3 0.124 0.197 0.654 1
Ho4 0.152 0.315 0.238 1
Er1 0.000 0.500 0.500 1
Er2 0.187 0.000 0.001 1
Er3 0.236 0.500 0.583 1
Tl1 0.000 0.190 0.000 1
```

Calculated values
Total magnetization, μB/atom: 0.00
Calculated density, Mg/m³: 9.2
Energy relative to the elements, eV/atom: 0.026

Density functional theory data (PBE) for a relaxed structure of La2Sb3Rh5.

CIF file:
```
data_La2Sb3Rh5
_cell_length_a 4.431
_cell_length_b 26.226
_cell_length_c 7.231
_cell_angle_alpha 90.00
_cell_angle_beta 90.00
_cell_angle_gamma 90.00
_space_group_name_H-M_alt 'C m c 21'
_space_group_IT_number 36
_space_group_name_Hall 'C 2c -2'
loop_
_atom_site_label
_atom_site_fract_x
_atom_site_fract_y
_atom_site_fract_z
_atom_site_occupancy
La1 0.000 0.010 0.000 1
La2 0.000 0.324 0.989 1
Sb1 0.000 0.111 0.234 1
Sb2 0.000 0.276 0.443 1
Sb3 0.000 0.440 0.234 1
Rh1 0.000 0.098 0.599 1
Rh2 0.000 0.208 0.153 1
Rh3 0.000 0.222 0.746 1
Rh4 0.000 0.373 0.523 1
Rh5 0.000 0.441 0.852 1
```

Calculated values
Total energy, eV/atom: -6.57
Total magnetization, μB/atom: 0.00
Calculated density, Mg/m³: 9.2

Density functional theory data (PBE) for a relaxed structure of SrNd2C2N6.

CIF file:
```
data_SrNd2C2N6
_cell_length_a 9.926
_cell_length_b 6.556
_cell_length_c 6.384
_cell_angle_alpha 90.00
_cell_angle_beta 115.80
_cell_angle_gamma 90.00
_space_group_name_H-M_alt 'C 1 2/m 1'
_space_group_IT_number 12
_space_group_name_Hall '-C 2y'
loop_
_atom_site_label
_atom_site_fract_x
_atom_site_fract_y
_atom_site_fract_z
_atom_site_occupancy
Sr1 0.000 0.000 0.000 1
Nd1 0.172 0.500 0.312 1
C1 0.183 0.500 0.769 1
N1 0.088 0.500 0.869 1
N2 0.236 0.327 0.715 1
```

Calculated values
Total energy, eV/atom: -7.73
Total magnetization, μB/atom: 0.15
Calculated density, Mg/m³: 4.3

Density functional theory data (PBE) for a relaxed structure of TaCoMo.

CIF file:
```
data_TaCoMo
_cell_length_a 4.868
_cell_length_b 8.433
_cell_length_c 8.671
_cell_angle_alpha 90.00
_cell_angle_beta 90.00
_cell_angle_gamma 90.00
_space_group_name_H-M_alt 'F m m m'
_space_group_IT_number 69
_space_group_name_Hall '-F 2 2'
loop_
_atom_site_label
_atom_site_fract_x
_atom_site_fract_y
_atom_site_fract_z
_atom_site_occupancy
Ta1 0.000 0.000 0.160 1
Co1 0.250 0.250 0.250 1
Mo1 0.000 0.157 0.500 1
```

Calculated values
Total magnetization, μB/atom: 0.00
Energy relative to the lowest polymorph listed for this composition, eV/atom: 0.020
Calculated density, Mg/m³: 12.5
Energy relative to the elements, eV/atom: -0.120
# Here the article continues
The second part of the test was to figure out how the Holga sees. I positioned the camera with the corners of the square covers the Holga's viewfinder totally. The picture at the top of this blog entry shows the result of how the Holga sees up close. It shows that there are a lot of extra space to the right side and the bottom that I did not see when I was looking at the view finder. I suspected this was the case because earlier when I took a picture of the new Ferris Wheel in Suan Lum, I covered the view finder with the entire wheel. Yet when the negatives came back, there was a lot of space available again to the right and to the bottom. This will be useful in figuring out how to compose the photograph.
I am slowly figuring out this plastic camera. I decided that in order that I can enjoy my cameras, I will have to spend 2 months with each of them at a time concentrating on each of them, learning how to use them. I am now learning more about my Holga and finally am starting to figure it out. So this June and July, I will post the pictures that I manage to come up with this fantastic plastic camera. I am sure I will be having fun along the way!
© 2006 daddywasabi